
"Hardcore Hits" (1999 Best of/Compilation)
1. Realities of War 2. They Declare It 3. Fight Back 4. Hear Nothing, See Nothing, Say Nothing 5. Protest and Survive 6. Decontrol 7. Tomorrow Belongs to Us 8. Never Again 9. The Nightmare Continues 10. Drunk With Power 11. Why 12. Does This System Work 13. A Look at Tomorrow 14. Ain't No Feeble Bastard 15. State Violence/State Control 16. The Price of Silence 17. The More I See 18. Ignorance
1. Realities of War
War is a black hole to avoid
The realities of war are so disturbing
They declare it but they don't hear
The cries of fear
War is a black hole to avoid
Mutilated corpses and charcoal flesh
Litter the battlefields
But their dead bodies
Are not to be found
War is a black hole to avoid
2. They Declare It
They have the right what fuckin' right?
To say I must fight in their fuckin' wars?
They declare it!
Why should I fight in their fuckin' wars?
When they don't consult my views of war?
They declare it!
Why should I fight in their fuckin' wars?
Why should I do their killing and be killed?
They declare it!
It's nothing to them if I were dead or alive
All they want is death or glory
They declare it!
They! They! They declare it!
They! They! They declare it!
They! They! They declare it!
They! They! They declare it!
War! War! War!
3. Fight Back
Bristols riots was a result of people's anger
Towards the system
Fight the system fight back
Fight the system fight back
People die in police custody
Where's the justice in that, don't see none
Fight the system fight back
Fight the system fight back
We've been shit on far too long
There are no equalities, no freedom
Fight the system fight back
Fight the system fight back
Stand up fight for freedom
Stand up fight for your rights
Fight the system fight back
Fight the system fight back
Fight the system fight back
4. Hear Nothing, See Nothing, Say Nothing
Lied to threatened cheated and decieved
Hear nothing see nothing say nothing
Led up garden paths and into blind alleys
5. Protest and Survive
The savage mutilation of the human race is set on course
Protest and survive
Protest and survive
It is up to us to change that course
Protest and survive
Protest and survive
6. Decontrol
They fill you up with their fucking lies
You're the victims of government schemes
They take liberties they've no right to take
And you believe they're oh so right
They only show concern when war is declared
Cos you're their power and glory
This whole affair's so fucking unfair
It's so fucking sick
Decontrol, decontrol - We're being shit on far too long
Decontrol, decontrol - We're being shit on far too long
Decontrol, decontrol - We're being shit on far too long
Decontrol, decontrol - We're being shit on far too long
Decontrol, decontrol
We're being shit on far too long
We're being shit on far too long
We're being shit on far too long
We're being shit on far too long
Decontrol, decontrol - We're being shit on far too long
Decontrol, decontrol - We're being shit on far too long
Decontrol, decontrol - We're being shit on far too long
Decontrol, decontrol - We're being shit on far too long
7. Tomorrow Belongs to Us
You're so afraid to stand up
But without you they are nothing
Unite unite unite and fight
Tomorrow belongs to us
Unite unite unite and fight
Tomorrow belongs to us
Why should we suffer to fulfil
Their schemes of position and greed
Unite unite unite and fight
Tomorrow belongs to us
Unite unite unite and fight
Tomorrow belongs to us
8. Never Again
A blinding light and firestorms agonised crying
Never never never again
Never never never again
Unanswered cries of help panic and desperation
Dazed and stricken survivors
Search for lost families
Choking dust crazy with thirst
Drinking from poisoned pools and streams
9. The Nightmare Continues
And still men and women drag out their lives in misery
The nightmare continues
Blinded disfigured and mentally scared
10. Drunk With Power
For how long do we tolerate
These fools drunk with power
Drunk with powere
Obsessed with death
Death and destruction
Drunk with power
A giant game of chess they play
With you and I as the disposable peices
11. Why
Besides her man she kneels
Holds him tight and begins to cry
Why why why but why
-- Unrelated to this entry: materials data --
____________
No. 1
## EuMg16Al12 (PBE)

Data for an optimized crystal structure of EuMg16Al12.

Cell: 9.1942 9.1942 9.1942 Å, 109.47 109.47 109.47°
Last column: nearest neighbours and their distance in Å.
Element x y z (fractional)
1 Eu 0.0000 0.0000 0.0000  12 Al 3.24, 4 Mg 3.29
2 Mg 0.0000 0.0000 0.3581  3 Mg 3.05, 6 Al 3.18, 1 Eu 3.29
3 Mg 0.0000 0.3197 0.6027  5 Al 2.88-3.18, 7 Mg 3.05-3.19
4 Mg 0.0000 0.3581 0.0000  3 Mg 3.05, 6 Al 3.18, 1 Eu 3.29
5 Mg 0.0000 0.6027 0.3197  5 Al 2.88-3.18, 7 Mg 3.05-3.19
6 Mg 0.2829 0.6803 0.6803  5 Al 2.88-3.18, 7 Mg 3.05-3.19
7 Mg 0.3197 0.0000 0.6027  5 Al 2.88-3.18, 7 Mg 3.05-3.19
8 Mg 0.3197 0.6027 0.0000  5 Al 2.88-3.18, 7 Mg 3.05-3.19
9 Mg 0.3581 0.0000 0.0000  3 Mg 3.05, 6 Al 3.18, 1 Eu 3.29
10 Mg 0.3973 0.3973 0.7171  5 Al 2.88-3.18, 7 Mg 3.05-3.19
11 Mg 0.3973 0.7171 0.3973  5 Al 2.88-3.18, 7 Mg 3.05-3.19
12 Mg 0.6027 0.0000 0.3197  5 Al 2.88-3.18, 7 Mg 3.05-3.19
13 Mg 0.6027 0.3197 0.0000  5 Al 2.88-3.18, 7 Mg 3.05-3.19
14 Mg 0.6419 0.6419 0.6419  3 Mg 3.05, 6 Al 3.18, 1 Eu 3.29
15 Mg 0.6803 0.2829 0.6803  5 Al 2.88-3.18, 7 Mg 3.05-3.19
16 Mg 0.6803 0.6803 0.2829  5 Al 2.88-3.18, 7 Mg 3.05-3.19
17 Mg 0.7171 0.3973 0.3973  5 Al 2.88-3.18, 7 Mg 3.05-3.19
18 Al 0.0000 0.6326 0.8122  3 Al 2.70-2.82, 1 Mg 2.88
19 Al 0.0000 0.8122 0.6326  3 Al 2.70-2.82, 1 Mg 2.88
20 Al 0.1797 0.3674 0.3674  3 Al 2.70-2.82, 1 Mg 2.88
21 Al 0.1878 0.1878 0.8203  3 Al 2.70-2.82, 1 Mg 2.88
22 Al 0.1878 0.8203 0.1878  3 Al 2.70-2.82, 1 Mg 2.88
23 Al 0.3674 0.1797 0.3674  3 Al 2.70-2.82, 1 Mg 2.88
24 Al 0.3674 0.3674 0.1797  3 Al 2.70-2.82, 1 Mg 2.88
25 Al 0.6326 0.0000 0.8122  3 Al 2.70-2.82, 1 Mg 2.88
26 Al 0.6326 0.8122 0.0000  3 Al 2.70-2.82, 1 Mg 2.88
27 Al 0.8122 0.0000 0.6326  3 Al 2.70-2.82, 1 Mg 2.88
28 Al 0.8122 0.6326 0.0000  3 Al 2.70-2.82, 1 Mg 2.88
29 Al 0.8203 0.1878 0.1878  3 Al 2.70-2.82, 1 Mg 2.88

Values from the calculation:
space group: I-43m, No. 217
VASP energy: -82.58 eV/cell

No. 2
## EuMgAl11O19 (PBE)

Data for an optimized crystal structure of EuMgAl11O19.

Cell: 5.6729 5.6729 22.4638 Å, 90.03 90.03 60.01°
Last column: nearest neighbours and their distance in Å.
Element x y z (fractional)
1 Eu 0.1673 0.1673 0.2394  3 O 2.51
2 Eu 0.8327 0.8327 0.7606  3 O 2.51
3 Mg 0.1670 0.1670 0.9748  4 O 1.95-1.98
4 Mg 0.8330 0.8330 0.0252  4 O 1.95-1.98
5 Al 0.1648 0.6669 0.6093  6 O 1.87-1.98
6 Al 0.1660 0.1660 0.5749  3 O 1.83
7 Al 0.1666 0.1666 0.6970  6 O 1.89-1.93
8 Al 0.1667 0.1667 0.8128  6 O 1.87-2.03
9 Al 0.1679 0.6665 0.8931  6 O 1.91-1.96
10 Al 0.3330 0.3330 0.3906  6 O 1.87-1.98
11 Al 0.3331 0.8352 0.3907  6 O 1.87-1.98
12 Al 0.3337 0.3337 0.1068  6 O 1.91-1.96
13 Al 0.3335 0.8321 0.1069  6 O 1.91-1.96
14 Al 0.5000 0.5000 0.0000  6 O 1.92
15 Al 0.5000 0.5000 0.2450  3 O 1.79
16 Al 0.5000 0.5000 0.5000  6 O 1.95-1.96
17 Al 0.5000 0.5000 0.7550  3 O 1.79
18 Al 0.6665 0.1679 0.8931  6 O 1.91-1.96
19 Al 0.6663 0.6663 0.8932  6 O 1.91-1.96
20 Al 0.6669 0.1648 0.6093  6 O 1.87-1.98
____________
Her loved one's just another piece of
Meat on the battlefields
Her cries break out into screams
As she now becomes hysterical with grief
Her loved one's just another piece of
Meat on the battlefields
12. Does This System Work
Men and women young and old
Out on the streets homeless
Does the system
Does the system
Does this system work
In plastic bags they carry their homes
Clothes in rags they walk the streets
Men and women young and old
Out on the streets homeless
In bins they search for the odd dog end
The odd dog end and food
13. A Look at Tomorrow
I look out my window to a blinding bright light
Enola passes passes by
Tomorrow tomorrow
A look at tomorrow
Hysterical men women and children
Run in search of their families
I look out of my window to a blinding bring light
Enola passes passes by
Skin is shed like that of snakes
But it's not the work of mother nature
14. Ain't No Feeble Bastard
Ain't no feeble bastard that obeys their every say
They say do this they say do that
No I'm no dogs body
Ain't no feeble bastard
No fucking scapegoat
Ain't no feeble bastard that has no say
I say what I think
Not what they want me to think
15. State Violence/State Control
Kept in line with truncheons
Rifle butts and truncheons
This is state control this is state control
State control state control
This is state control
Beaten up behind closed doors
Cracked and bruised ribs bloody mouth
Cracked and bruised skull bloody mouth
State control state control
This is state control
16. The Price of Silence
Living In A Shadow Shadow Of Fear
This Is The Price The Price Of Silence
Next to the text, the page also holds calculated crystals:
-- begin --
Here is Sm5Ge3 after structural relaxation from Materials Project. Energies are from PBE.

Summary:
total magnetization	0.1	μB/f.u.
formation energy	-740	meV per atom
uncorrected energy	-5.423	eV/atom

Cell lengths 8.7467, 8.7467, 6.6094 Å; angles 90.00, 90.00, 120.00 degrees
Last column: nearest neighbours and their distance in Å.
Space group P6_3/mcm (No. 193)
Inequivalent atoms, fractional coordinates:
Sm (0.0000, 0.2432, 0.2500) x6  3 Ge 3.01-3.18
Sm (0.3333, 0.6667, 0.0000) x4  6 Ge 3.16, 2 Sm 3.30
Ge (0.0000, 0.3931, 0.7500) x6  7 Sm 3.01-3.18


Here is Th2SbN2 after structural relaxation from Materials Project. Energies are from PBE.

Summary:
formation energy	-1674	meV per atom
uncorrected energy	-8.656	eV/atom

Cell lengths 4.0587, 4.0587, 13.8822 Å; angles 90.00, 90.00, 90.00 degrees
Last column: nearest neighbours and their distance in Å.
Space group I4/mmm (No. 139)
Inequivalent atoms, fractional coordinates:
Th (0.0000, 0.0000, 0.1665) x4  4 N 2.34
Sb (0.0000, 0.0000, 0.5000) x2  8 Th 3.68, 8 N 4.02, 4 Sb 4.06
N (0.0000, 0.5000, 0.2500) x4  4 Th 2.34


Here is MgTi2S6 after structural relaxation from Materials Project. Energies are from PBE.

Summary:
total magnetization	0.0	μB/f.u.
formation energy	-1306	meV per atom
uncorrected energy	-5.661	eV/atom

Cell lengths 5.0293, 3.4203, 9.3055 Å; angles 90.00, 90.14, 90.00 degrees
Last column: nearest neighbours and their distance in Å.
Space group Pm (No. 6)
Inequivalent atoms, fractional coordinates:
Mg (0.0000, 0.0000, 0.0000) x1  6 S 2.49-2.61
Ti (0.4949, 0.5000, 0.3778) x1  8 S 2.48-2.72
Ti (0.9989, 0.0000, 0.6756) x1  8 S 2.44-2.70
S (0.2519, 0.5000, 0.8375) x1  2 S 2.49-2.53, 2 Ti 2.61, 2 Mg 2.61
S (0.2526, 0.0000, 0.2311) x1  2 S 2.41-2.61, 1 Mg 2.49, 2 Ti 2.50
S (0.4967, 0.0000, 0.5710) x1  4 Ti 2.48-2.70
S (0.7327, 0.0000, 0.2294) x1  2 S 2.41-2.61, 2 Ti 2.50, 1 Mg 2.53
S (0.7479, 0.5000, 0.8377) x1  2 S 2.49-2.53, 2 Ti 2.61, 2 Mg 2.61
S (0.9958, 0.5000, 0.4890) x1  4 Ti 2.44-2.72


Here is Ho3Ga5 after structural relaxation from Materials Project. Energies are from PBE.

Summary:
formation energy	-648	meV per atom
uncorrected energy	-4.259	eV/atom

Cell lengths 11.3823, 9.6544, 6.0839 Å; angles 90.00, 90.00, 90.00 degrees
Last column: nearest neighbours and their distance in Å.
Space group Pnma (No. 62)
Inequivalent atoms, fractional coordinates:
Ho (0.0737, 0.2500, 0.1515) x4  8 Ga 2.84-3.16
Ho (0.1479, 0.5093, 0.6104) x8  10 Ga 2.97-3.30
Ga (0.0051, 0.2500, 0.6285) x4  3 Ga 2.66-2.90
Ga (0.0910, 0.5529, 0.1250) x8  4 Ga 2.66-2.88, 1 Ho 2.93
Ga (0.2014, 0.7500, 0.8968) x4  3 Ga 2.66-2.67, 3 Ho 2.96-2.97
Ga (0.2481, 0.7500, 0.3245) x4  4 Ga 2.66-2.90, 1 Ho 2.84


Here is K3Al3Si3O16 after structural relaxation from Materials Project. Energies are from PBE.

Summary:
total magnetization	2.0	μB/f.u.
formation energy	-2174	meV per atom
uncorrected energy	-6.574	eV/atom

Cell lengths 9.2885, 9.3025, 9.3314 Å; angles 89.65, 89.50, 89.16 degrees
-- stop --
The text goes on:
Waiting In Death Row One Foot In The Grave
This Is The Price The Price Of Silence
17. The More I See
From Where I Stand I See
Pain Suffering And Misery
The More I See The More I See
The Less The Less I Believe
From Where I Stand I See
Hate Violence And War
The More I See The More I See
The Less The Less I Believe
18. Ignorance
Propaganda On The T.V.
Propaganda In The News
To Keep Us All Divided
To Keep Us All In Line
Your Ignorance Is
Ignorance Is Their Bliss
Slaves By Your Own Compulsion
Puppets In A Playing Hand
Slaves By Your Own Compulsion
Puppets In A Playing Hand